eye and orbit Flashcards
general orbit
depth 2x width
shaped like a quadrangular pyramid w/base facing anterolateral and apex posteromedial
contralateral medial walls parallel
contralateral lateral walls perpendicular
orbital axis
long axis thru orbit oriented 45 degrees to one another
optical axis
long axis thru globe parallel to medial walls of orbit
bones of orbit
frontal maxilla sphenoid lacrimal ethmoid palatine zygomatic
apex of orbit
lesser wing of sphenoid surrounding optic canal
formed by the orbital margin and orbital opening
orbital margin
thickened to provide support and protection to eye
roof of orbit
frontal bones and some spehnoid
separated orbit from ant cranial fossa
has fossa for lacrimal gland
floor of orbit
maxilla bone- separated orbit from maxillary sinus
medial wall of orbit
separates orbit from sphenoid and ethmoidal air sinuses ethmoid lacrimal maxilla lacrimal fossa
lateral wall of orbit
zygomatic bone
sphenoid- greater wing
optic canal
II, ophthalmic a
superior orbital fissure
superior ophthalmic v
inferior orbital fissure
inf opthalmic v
infraorbital a,v,n
sygomatic nn
ant ethmoidal foramen
ant ethmoidal a, n, v
post ethmoidal foramen
post ethmoidal a,n,v
nasolacrimal canal
nasolacrimal duct
blowout fracture- inferior
can involve maxillary sinus
inf rectus m trapped -> diplopia
enophthalmos due to fat
blowout fracture- medially
enophthalmos due to fat
can involve sphenoidal and ethmoidal air sinuses
blowout fracture-roof
can involve ant cranial fossa
orbital tumors
tumors in sphenoidal or ethmoidal sinuses or middle cranial or infratemporal fossas can erode thin walls of orbit or pass thru foramen
periorbital fasica
lines bones of orbit
continuous w/periostreal dura at optic canal and superior orbital fissue
continuous w/orbital septum anteriorly
continuous w/muscular fascias of extraoccular eye mm
fat and fascias of orbit
periorbital fascia mm fascias check ligaments fascial sheath of eyeball orbital fat
check ligaments
medial and lat
attach to med and lat orbit walls
limit abduction and adduction
prevent post retraction of eyeball by rectus mm
fascial sheath of eyeball
aka tenons capsule or fascia bulbi
thin membrane surrounding eyeball external to sclera
continuous w/muscular fascia of extraoccular eye mm
separates eyeball from orbital fat
orbital fat
w/anorexia eyes become sunken
moveable folds of skin and CT which cover eye to protect spread lubrication over cornea
structure of eyelid
skin loose CT orbicularis oculi and levator palpebrae superioris mm tarsal plate palpebral conjuctiva
tarsal plate
dense CT for structural support of eyelid
orbital septum
medial and lateral palbebral ligaments
orbital septum
part of tarsal plate
fibrous membrane connecting tarsi to margins of orbit
fnx to contain orbital fat w/in orbit
limit spread of infection btwn face and orbit
medial palpebral lig
connects tarsi to medial wall of orbit
lateral palpebral lig
connects tarsi to lateral wall of orbit
glands associated w/eyelid
tarsal/sebaceous glands
galnds of Zeis (smaller sebaceous)
glands of Moll (sweat)
glands become obstructed
can get chalazion or hordeoum cysts
orbicularis oculi
sphinchter m of eyelid
therefore damage to VII cannot close eyelid completely
levator palebrae superioris
lesser wing of sphenoid skin of sup eyelid elevates sup eyelid III sup portion attaches to sup tarsal plate innervated sympathetically
III lesion
horners syndrome
ptosis due to loss of sympathetics to superior tarsal portion of LPS
palpebral conjunctiva
epi of internal eyelid
bulbar conjunctiva
outer epi of sclera
conjunctiva sac
btwn palebral and bulbar conjunctiva
opens at palpebral fissure
conjunctival fornices
sup and inf
formed where bulbar and palpebral conjuctiva are continuous
lacrimal apparatus
lacrimal gland
lacrimal cannaliculi
lacrimal sac
nasolacrimal duct
lacrimal galnd
compound tuboalveolar gland
located in lacrimal fossa in superolateral orbit
secretes lacrimal fluid into conjunctival sac
lubrication and antibacterial
lacrimal cannaliculi
located in medial angle of eye
begin at lacrimal papilla
**Molecular data, kept here for reference:**
********
Formula: C17H40BiNP3Se
Source: the OMol25 dataset
Level of theory: wB97M-V/def2-TZVPD

Cartesian coordinates (Å):
Bi  0.87362  0.04551  0.03418
P  -0.98020  -0.62999  2.71303
P  1.75510  -2.70438  0.39326
P  -1.69478  -0.79631  -0.90379
H  -0.08769  5.01106  0.14813
C  -1.11787  4.66699  -0.01610
C  -1.91129  4.25837  0.98491
H  -1.58525  4.19862  2.03029
C  -0.45080  -0.12383  4.40410
C  -1.48123  -2.35334  3.16212
C  -2.64699  0.14404  2.78245
C  2.89225  -3.06083  -0.99012
C  2.80041  -3.12926  1.83095
C  0.58588  -4.10725  0.29361
C  -2.84581  0.62241  -0.92261
C  -2.77503  -2.16131  -0.33355
C  -1.63556  -1.18121  -2.70157
H  -1.52923  4.69902  -1.01676
H  -2.95687  3.98631  0.74682
H  -0.27967  0.95838  4.46868
H  0.47464  -0.63526  4.69424
H  -1.24749  -0.40010  5.10897
H  -0.58497  -2.96669  3.30965
H  -2.07564  -2.81293  2.36543
H  -2.06749  -2.36536  4.09139
H  -2.58276  1.21603  2.54929
H  -3.06277  0.02835  3.79579
H  -3.33520  -0.31691  2.06388
H  3.33736  -4.05273  -0.87528
H  3.68576  -2.30449  -1.00742
H  2.32549  -3.00709  -1.92784
H  3.30182  -4.09787  1.70833
H  2.15095  -3.15700  2.71593
H  3.56739  -2.35309  1.97216
H  1.13057  -5.06011  0.22802
H  -0.06205  -4.02166  -0.59203
H  -0.04948  -4.12112  1.19058
H  -3.41435  0.51416  -1.85484
H  -2.31141  1.58084  -0.91668
H  -3.52548  0.59434  -0.06389
H  -3.46386  -2.38844  -1.15725
H  -3.36264  -1.90250  0.55146
H  -2.17836  -3.05358  -0.11851
H  -2.62916  -1.13250  -3.17233
H  -1.23391  -2.19519  -2.81737
H  -0.95938  -0.48151  -3.21355
C  1.75532  1.74200  -3.32460
C  1.32034  2.95913  -2.69853
C  1.47439  4.16725  -3.39480
C  2.07083  4.22509  -4.65149
C  2.54755  3.04842  -5.23797
C  2.42858  1.83670  -4.57957
Se  1.60094  0.00178  -2.65565
H  0.70941  1.57508  0.94887
H  0.90463  2.91668  -1.69127
H  1.12053  5.09126  -2.91980
H  2.16835  5.16954  -5.14528
H  3.03987  3.05572  -6.21038
H  2.87483  0.91703  -4.99285
N  2.17975  0.88574  2.48292
H  3.07689  1.32325  2.25265
H  2.34911  0.07868  3.07864
H  1.62215  1.55610  3.00293

Calculated values
- HOMO-LUMO gap (spin up / spin down): 5.4 / 5.2 eV
- Electronic energy: -4365.4877 Eh
- Total charge: +3

***

Formula: C5H15N3O
Source: the OMol25 dataset
Level of theory: wB97M-V/def2-TZVPD

Cartesian coordinates (Å):
C  -0.38446  0.42157  -1.55400
C  -0.06427  1.85205  -1.93498
N  -1.58513  0.44838  -0.69326
N  -0.46424  -0.37509  -2.76166
H  0.21551  -1.09196  -0.14427
H  -2.34938  0.96090  -1.15354
H  -1.93256  -0.49455  -0.54919
H  -1.16904  -0.01958  -3.41840
H  -0.68171  -1.34401  -2.56646
H  0.84302  1.90723  -2.53706
H  -0.88633  2.28873  -2.53986
H  0.05592  2.48568  -1.05441
C  0.09331  0.44238  2.33808
C  0.65733  -0.86487  1.92015
N  0.67102  -1.88245  2.77502
C  1.12483  -1.03129  0.55266
O  1.77493  0.11321  0.09888
H  1.11427  0.35441  -0.67564
H  1.07878  -2.76864  2.51728
H  0.29796  -1.79530  3.70676
H  1.70084  -1.96065  0.42521
H  -0.43526  0.38468  3.29136
H  0.90160  1.17358  2.41122
********
lacrimal punctum is opening
lacrimal sac
receives fluid from lacrimal cannaliculi
nasolacrimal duct
drains lacrimal fluid to nasal cavity
flow of tears
lacrimal glans -> conjunctical sac-> surface of eye -> lacrimal papillae w/puncta -> cannaliculae -> lacrimal sac -> nasolacrimal duct
3 tunics
vitreous and aqueous chambers
external fibrous tunic
tough opaque fibrous layer covering post 5/6 of globe
provides structural support for eye and mm attachment
avascular, dehydrated, transparent layer covering ant 1/6 of globe
provides most of eyes refractile capabilities
numerous pain receptors w/in cornea
corneal neurovascularization
blood vessels grow into corneal stroma secondary to hypoxia
middle vascular tunic
aka uvea choroid iris ciliary body ciliary m
highly vascualrized, loose CT, located deep to sclera
provides vascular supply to fibrous layers and outermost layers of retina
contains melanocytes which produce melanin to absorb photons
central aperature forms pupil
controls amount of light entering pupil
sphincter pupillae m
dilator pupillae
sphincter pupillae
reduces diameter of pupil (meiosis)
parasympathetic via III
dilator pupillae
increases diameter of pupil (mydriasis)
ciliary body
ciliary processes
ciliary m
ciliary processes
finger like extensions from ciliary body
secretes aqueous humor into post chamber
suspensory ligaments extend from ciliary processes to lens
ciliary m
parasympathetics via from III
accommodation- control of lens thickness via suspensory ligaments
accommodation- distant
when looking at distant objects the ciliary m relaxed w/tension on suspensory ligaments
ciliary processes pull on lens to stretch and thin it
accommodation- near
ciliary m contracts pulling ciliary body med and ant to reduce tension on suspensory ligs
lens round and thick
due to parasympathetics from III
inner neural tunic
visual portion of retina contains rods/cones contains ganglion cells which form optic n ora serrata optic disc macular lutea fovea centralis
orra serrata
ant termination of retina
optic disc
blind spot
located on post pole of globe
site of entry of II and central retinal a, v
macula lutea
yellow pigmented zone located about 2.5mm to lat optic disc
fovea centralis
oval depression in center of macula
site of greatest visual acuity due to density of cone cells
blood supply of retina
central retinal a for neural portion except rods and cones
choroid vessels for pigmented epi and rod/cone layer
retinal detachement
occurs when pigmented epi separated from underlying rods/cones
can cause blindness due to loss of blood supply
proteins of lens aggregate producing opaque lens
eye chambers
aqueous chambers (ant, post) vitreous body
anterior aqueous chamber
btwn cornea and iris
post aqueous chamber
btwn iris and lens
aqueous humor
fill ant and post chambers
produced in post chamber by ciliary processes
flows into ant via pupil
drains to venous system via sclera venous sinus
sclera venous sinus
at iridocorneal angle
covered by trabecular meshwork (endothelial lines spaces)
drains to vorticose and ant ciliary vv
due to excessive aqueous humor
most often due to decreased drainage, but can be due to increased production
caused increased ocular pressure which can lead to blindness
vitrous body
btwn lens and post surface of eye
filled w/vitreous humor
neural ectoderm
aka optic vessels
derived from evaginations of forebrain neuroectoderm
meninges carried along w/eye
optic vessels invaginate to forme double walled optic cup
cup maintains connection to forebrain at optic stalk
choroid fissure forms on ventral surface of cup
forms retina and optic n
choroid fissure
hyaloid vessels
closes wk 7
surface ectoderm
lens placode -> lens vesicle -> lens
fibrous - sclera and cornea
vascular- choroid, iris, ciliary body
retina and optic n
outer layer of cup- pigmented layer of retina
inner layer of cup- all neural layers of retina
nerve fibers from retina migrate thru chorioid fissure to form II
congential retinal detachement
inner and outer cup layers fail to fuse
derived from vascular layer of mesenchyme surrounding optic cup
iris and ciliary body
outer portion from vascular mesenchyme surrounding optic cup
inner portion derived form optic cup
melanocytes migrate in first 6-10 months
iridopupillary membrane
vascular structure which originally separates the ant and post chambers
degenerates around wk 15
congenital atresia of pupil
due to failure of iridopupillary membrane to degenerate
failure of choroid fissure to fuse during the 7th wk of development
may also involve the retina
sclera and cornea
are derived from fibrous layer of mesenchyme surrounding optic cup
aqueous and vitreous chambers
form in areas of cell death
vitreous humor is likely derived from neural crest cells
derived from lens vesicle
congenital aphakia
agenesis of lens placode
extrinsic eye m
from mesoderm of myoderms
ophthalmic a
from internal carotid
enters orbit via optic canal
brr of ophthalmic a
central retinal a short post ciliary long post ciliary ant ciliary aa lacrimal supraorbital post ethmoidal ant ethmoidal medial palpebral supratrochlear dorsal nasal
central retinal a
pierces optic sheath and runs within optic n supplies retina (except rods/cones and pigmented epi layers)
short post ciliary a
pierce sclera near optic n to supply choroid
long post ciliary a
pierce sclera anteriorly to supply ciliary body and iris
ant ciliary aa
arise from mm brr to cliary body and iris
lacrimal a
to lacrimal gland and lat portions of eyelids
supraorbital a
to forehead and scalp
medial palpebral a
medial eyelids
to forehead and scalp
dorsal nasal
supplies dorsal surface of nose
vv of orbit and eyeball
central retinal v
vorticose vv
sup and inf ophthalmic vv
central retinal v
usually drains directly to cavernous sinus
vorticose vv
drain choroid, ciliary body, and iris
sup and inf ophthalmic vv
drain to cavernous and pterygoid venous plexuses respectively
thrombophlebitis of cavernous sinus
may send clot to central retinal v and cause blindness
superior pole of eyeball rotated laterally
superior pole of eyeball rotated medially
medial rectus
common tendinous ring medial surface of eyeball adducts eye III if damaged lose adduction, eye 'stuck' in abdcution
lateral rectus
common tendinous ring lateral surface of eyeball adducts eye VI if damaged lose abduction, eye 'stuck' in adduction
superior rectus
common tendinous ring sup surface of eyeball elevated, adducts, intorsion III if damaged loss of elevation when eye is fully abducted
inf rectus
common tendinous ring inf surface eyeball depress, adduct, extorsion III loss of depression when eye fully abducted
inf oblique
ant portion of floor of orbit inf surface of eyeball, post to equator elevates, abducts, extorsion III loss of elevation when eye fully adducted
sup oblique
common tendinous ring
sup surface of eyeball, post to equator
mm passes thru trochea ad changes direction to attach to eyeball
depress, abducts, intorsion
loss of depression when eye fully addcuted
superior division of III
levator palpebrae superiorsis and sup rectus
inf division of III
medial rectus, inf rectus, inf oblique
pre-ganglionic parasympathetics to ciliary ganglia
oculomotor n palsy
ptosis or complete closure of eye due to loss of levator
eye will be abducted and depressed (down and out)
dilation of pupil (due to loss of sphincter )
loss of accommodation (due to loss of ciliary m)
sup oblique m
trochlear n palsy
eye slightly elevated and adducted
loss of depression when eye fully adducted
lateral rectus m
abducent n palsy
loss of eye abduction
SSA- vision
covered in meninges
axons of ganglion cell layer of retina which pass thru optic disc then exit via lamina cribosa of sclera posterior
V1 bbr
nasociliary n
sensory root to ciliary ganglia short ciliary nn long ciliary nn post and ant ethmoidal nn iinfratrochlear n
short ciliary nn
arise from ciliary ganglia on lat side of optic n
carry postganglionic sympathetics, parasympathetics, and sensory
long ciliary nn
arise from nasociliary n on medial side of optic n
carry postganglionic sympathetics, and sensory fibers
posterior ethmoidal n
to ethmoidal air cells and dura
ant ethmoidal n
ethmoidal air cells, nasal cavity, dura
terminates as external nasal n
exits orbit at medial angle, sensory to skin at root of nose, eyelids, palpebral conjunctiva, lacrimal sac
frontal n brr
supratrochlear n
supraorbital n
lacrimal n
sensory to lacrimal gland, lateral portion of superior eyelid
carries postganglionic parasympathetics and sympathetic fibers to lacrimal gland
ciliary ganglion
located btwn lateral rectus m and optic n
contains postganglionic parasympathetic cell bodies
ciliary ganglion recieves
sensory root from nasociliary n
parasympathetic motor root from III
sympathetic motor root from internal carotid plexus
Calculated molecules that have nothing to do with the page.
┌──
The following is a quantum chemistry calculation of 2 unconnected molecules or ions with the total composition C10H11NO2 at a distorted geometry, from the Open Molecules 2025 dataset.

```
24
Properties=species:S:1:pos:R:3
C -1.616 1.683 0.542
C -0.366 -2.460 1.346
C 4.050 0.983 0.345
C -2.793 -1.322 -0.591
C -1.100 -1.356 1.307
C 2.764 0.777 0.706
C -1.796 -0.853 0.146
C 1.716 0.726 -0.320
C -0.877 0.934 -1.776
C -0.726 0.939 -0.256
N -2.361 2.297 1.191
O 1.872 0.518 -1.516
O 0.530 0.898 0.322
H 0.206 -2.916 2.149
H -0.718 -3.226 0.691
H 4.932 1.177 1.028
H 4.093 1.374 -0.680
H -3.192 -0.771 -1.492
H -3.060 -2.280 -0.411
H -0.926 -0.527 2.054
H 2.321 0.567 1.659
H -0.571 -0.047 -2.228
H -0.363 1.781 -2.198
H -2.019 1.102 -2.017
```

Kohn-Sham gap   8.93 eV
Net charge   0
E_LUMO   -0.159 eV
2S+1   1
Highest occupied orbital energy   -9.0894 eV
Calculated total energy   -592.691858 a.u.

----------

Record 1
Below is a molecular structure, C14H46CuF3N20O12 in a non-equilibrium geometry, with properties calculated with ωB97M-V/def2-TZVPD.

Calculated values
- lowest unoccupied orbital energy (spin up / spin down) (eV) = 1.493 / 1.484
- 2S+1 = 2
- total energy (Eh) = -4499.32913
- charge = -1
- ⟨S²⟩ = 0.7506

CARTESIAN COORDINATES (ANGSTROEM)
Cu1 2.182 -1.941 1.935
C1 -0.362 -0.991 0.613
O1 0.700 -1.270 -0.254
O2 -0.245 -1.967 1.637
C2 -0.340 0.511 1.073
F1 -0.975 0.798 2.195
F2 0.897 1.041 1.280
F3 -0.968 1.241 0.177
C3 0.893 -0.572 -1.443
C4 2.011 -1.101 -2.321
H1 2.942 -0.690 -1.929
H2 1.981 -2.182 -2.185
H3 1.836 -0.888 -3.375
H4 0.911 0.515 -1.367
H5 -0.052 -0.675 -1.977
H6 -1.176 -1.119 -0.101
C5 2.032 4.255 -0.591
O3 3.240 4.148 -0.449
N1 1.273 3.187 -0.885
N2 1.337 5.327 -0.391
H7 1.615 2.237 -0.892
H8 0.292 3.381 -0.741
H9 1.850 6.070 0.062
H10 0.331 5.348 -0.307
C6 0.393 -5.195 -0.215
O4 0.654 -6.260 -0.530
N3 0.629 -4.182 -1.059
N4 -0.369 -4.970 0.819
H11 1.081 -4.292 -1.955
H12 0.535 -3.261 -0.655
H13 -0.609 -4.011 1.025
H14 -0.564 -5.857 1.262
C7 3.197 0.462 -6.623
O5 2.284 -0.214 -7.214
N5 3.618 1.701 -6.909
N6 3.828 0.075 -5.524
H15 3.252 1.916 -7.825
H16 4.277 2.240 -6.365
H17 4.325 0.830 -5.073
H18 3.405 -0.693 -5.023
C8 1.808 -4.186 -4.503
O6 2.466 -5.049 -3.998
N7 2.332 -3.158 -5.044
N8 0.513 -4.209 -4.565
H19 1.667 -2.610 -5.570
H20 3.340 -3.215 -5.012
H21 -0.003 -3.392 -4.860
H22 0.014 -5.059 -4.345
C9 -2.728 1.618 4.897
O7 -1.923 1.244 5.703
N9 -2.463 2.157 3.744
N10 -4.046 1.520 5.024
H23 -3.314 2.422 3.269
H24 -1.590 2.059 3.245
H25 -4.449 1.245 5.909
H26 -4.461 1.281 4.135
C10 4.094 0.445 0.797
O8 3.998 -0.654 1.409
N11 3.653 1.579 1.251
N12 4.687 0.680 -0.338
H27 2.929 1.568 1.955
H28 4.070 2.429 0.900
H29 5.160 -0.156 -0.650
H30 4.469 1.493 -0.896
C11 -4.267 -0.266 -1.640
O9 -4.204 -0.482 -2.845
N13 -4.533 -1.026 -0.659
N14 -3.947 0.916 -1.122
H31 -4.698 -2.002 -0.859
H32 -4.126 -0.756 0.225
H33 -3.559 1.558 -1.799
H34 -4.082 1.005 -0.125
C12 1.366 0.153 4.400
O10 2.311 -0.358 3.777
N15 0.145 -0.326 4.408
└──
parasympathetics to intraoccular mm
preganglionics in edinger-westphal nucleus
preganglionic fibers travel w/III
postganglionics in ciliary ganglion
postganglionic fibers then distribute via short ciliary nn to sphincter pupillae and ciliary mm
sympathetics to intraoccular mm
preganglionic cells T1-2 -> superior cervical sympathetic ganglion -> from here postganglionics travel w/internal carotid plexus -> gives a motor root to ciliary ganglion-> postganglionics pass thru ciliary ganglion w/o synapsing and distribute via long and short ciliary nn to dilator pupillae and superior tarsal mm
parasympathetics lacrimal gland
preganglionic in salivatroy nucleus in brainstem
travel w/greater petrosal n (VII) to pterygopalatine ganglia where they synapse
postganglionics then travel with zygomatic (V2) and lacrimal (V1) nn
increase lacrimal secretions
sympathetics lacrimal gland
T1-4 -> superior cervical sympathetic chain ganglion -> leave as postganglionics via deep petrosal n -> greater and deep petrosal nn merge to form n of pterygoid canal -> zygomatic (V2) and lacrimal (V1) nn
vasomotor and more watery lacrimal fluid
pupillary light reflex
fnx- protect eye from excessive light exposure
efferent- III
corneal reflex
protect eye from objects
afferent- V1
efferent- VII
afferent- II efferent- III (GSE and GVE-P) 1. ciliary mm contract -> rounding of lens III GVE-P 2. pupils constrict III GVE-P 3. eyes adduct III GSE